June 14, 2016

Top Ten Tuesday

Top Ten Tuesday is an original feature/weekly meme created at The Broke and the Bookish. This is one meme I can get on board with - I LOVE lists! I'll show you mine if you show me yours!

Top Ten Most Anticipated Releases For The Second Half of the Year

1. Heartless, by Marissa Meyer
I am a total Lunartic. Marissa Meyer's Lunar Chronicles series is one of my most favorite YA series EVER. As sad as I am that it's all done, I am excited to see what's coming next from this incredible author. Another fairy tale retelling? Abso-freaking-lutely. 

2. P.S. I Like You, by Kasie West
I've only recently discovered Kasie West's ridiculously entertaining and incredibly sweet stories. And this description has me completely enthralled. 

3. Overexposed (In Focus #4), by Megan Erickson
Every book in Megan Erickson's In Focus series has been absolutely incredible. This next one sounds like it's going to be especially angsty - and I can't wait. 

4. Ride Rough (Raven Riders #2), by Laura Kaye
Laura Kaye's books are auto-buys for me. Her romances are heart felt and sexy as hell. And her Raven Riders series gives me the best of two worlds - it's an MC series that has occasional appearances by my favorite Hard Ink boys. 

From the author of the On Dublin Street series comes something brand new. I loved ODS so much, so I'm excited to see where she goes with Hart's Boardwalk. 

6. Beautiful (Beautiful Bastard #5), by Christina Lauren
It's a sad day when we have to say goodbye to a beloved series. I read Beautiful Bastard in January 2013 and have read every book in the series that's been put out since then. It sucks that it will all be ending soon, but I have a feeling that the final book will be epic.

7. Into the Fire (Night Prince #4), by Jeaniene Frost
This is another series that we will be saying goodbye to this year. I'm so glad that Jeaniene Frost wrote this spin-off from her Night Huntress series about my favorite side character, the broody, snarky, flammable Vlad. I'm sure the end of his and Leila's story will be nothing short of explosive.

8. Bad Blood (The Naturals #4), by Jennifer Lynn Barnes
GAH! Why are all the most awesome series ending in 2016? A few years ago, I purchased The Naturals in audio because it sounded interesting. I had no idea exactly how brilliant it was. If you haven't read this amazing YA series yet, you have time to get all caught up before the final book launches in November.

9. Unknown (Unknown #1), by Wendy Higgins
Wendy Higgins is letting her inner bad girl off the leash. We saw hints of it in Kaiden Rowe, her Sweet Evil series hero, but this will be her first new adult novel, and it's set in a post-apocalyptic United States, so she can go crazy with her explosions and angst and sexy times. 

10. Torn (A Wicked Saga #2), by Jennifer L. Armentrout
It's been a year and a half since I read Wicked - and that ending. I've waited so long to find out what happened to Ivy and Ren. The wait is almost over.


  1. Nice!! I chose Into the Fire as well!! Heartless is another I can't wait to read. It's in my review stack, I just haven't gotten to it yet! So many in that stack I'm dying to read! Hope you enjoy all these later this year!

    Here's my Tuesday Post

    Have a GREAT day!

• Between two parts of the page: quantum chemistry results:
[1]
The following is a DFT calculation (ωB97M-V/def2-TZVPD) of a 2-piece molecular cluster, C24H41ClF3N2O9PS3 overall.

HOMO   -0.7047 eV
DFT total energy   -4021.5000 hartree
Multiplicity   1
Net charge   -2

CARTESIAN COORDINATES (ANGSTROEM)
C1 5.24935 0.71860 4.83463
C2 6.55771 0.69348 4.05311
C3 6.73860 -0.53079 3.15131
C4 6.56386 -0.22768 1.66913
C5 5.25370 0.43144 1.30075
C6 4.04461 -0.39842 1.69349
C7 2.73530 0.20595 1.19730
C8 1.87696 -0.78055 0.43810
C9 1.03454 -0.13777 -0.64371
C10 -0.22213 0.48011 -0.05875
C11 -1.26695 0.88336 -1.11212
C12 -2.07774 2.09559 -0.66394
C13 -3.10088 1.98479 0.47232
C14 -4.48490 1.49073 0.07154
Cl1 -2.52314 1.19555 1.95452
O1 -0.57240 1.05309 -2.39175
C15 -0.09556 2.25327 -2.78847
O2 -1.04820 3.10399 -3.29822
F1 0.71792 1.92797 -3.87774
C16 0.82230 3.01807 -1.83954
C17 0.68528 4.48635 -2.06979
O3 0.10409 5.24823 -1.34828
F2 1.31261 4.93950 -3.15846
C18 -2.09154 -0.38555 -1.44573
C19 -3.01703 -0.16634 -2.65296
C20 -4.35833 -0.85389 -2.55907
S1 -5.39003 -0.39814 -4.00763
C21 -4.64399 -1.38694 -5.19694
N1 -4.55160 -1.17547 -6.45161
N2 -3.85665 -2.26031 -6.97322
C22 -3.58351 -3.01183 -5.98956
O4 -4.05437 -2.54166 -4.82224
O5 -2.75397 -0.91779 -0.31791
C23 -2.69732 -2.29213 -0.09827
C24 -1.44077 -2.78196 0.50458
F3 -2.93961 -3.04056 -1.25075
P1 -4.15384 -2.62929 1.06224
S2 -4.31856 -4.46465 1.69104
H1 5.28572 1.41617 5.65726
H2 4.99967 -0.27543 5.16892
H3 4.45180 1.05929 4.19400
H4 7.35935 0.68416 4.77968
H5 6.65084 1.59899 3.46870
H6 6.07959 -1.33931 3.43968
H7 7.75171 -0.88493 3.30051
H8 7.37602 0.44458 1.40002
H9 6.72530 -1.12230 1.08351
H10 5.21505 0.51008 0.22101
H11 5.16599 1.41621 1.74160
H12 3.97675 -0.52516 2.76194
H13 4.17830 -1.38966 1.27752
H14 2.94987 1.07152 0.57486
H15 2.19355 0.55439 2.06704
H16 1.29244 -1.38003 1.11785
H17 2.56514 -1.44831 -0.07631
H18 0.80278 -0.90110 -1.37710
H19 1.66155 0.59291 -1.14563
H20 0.03740 1.32690 0.55914
H21 -0.63278 -0.24876 0.61725
H22 -2.62984 2.46249 -1.51943
H23 -1.42612 2.91096 -0.39773
H24 -3.26157 3.00683 0.77151
H25 -5.22240 2.11325 0.55218
H26 -4.60917 1.62437 -0.99596
H27 -4.64976 0.47468 0.38493
H28 -1.67408 2.53861 -3.76226
H29 1.84701 2.74763 -2.03340
H30 0.60505 2.87876 -0.79715
H31 -1.33035 -1.07936 -1.77170
H32 -2.52117 -0.56286 -3.52610
H33 -3.19059 0.87665 -2.87753
H34 -4.29665 -1.92554 -2.58051
H35 -4.95544 -0.55190 -1.71534
H36 -3.03142 -3.91575 -6.05773
H37 -0.60640 -2.63089 -0.17234
H38 -1.24151 -2.26149 1.43926
H39 -1.52763 -3.82284 0.75250
H40 -5.29319 -2.34703 0.27940
H41 -4.10850 -1.65727 2.06744
O6 -0.03172 -1.43127 4.10262
S3 -1.48273 -1.57201 4.43112
O7 -2.16830 -0.26029 4.22027
O8 -1.65387 -2.03588 5.82295
O9 -2.07957 -2.56844 3.47416

Results of the Mulliken charge analysis, in e, for atoms 1 through 6: -1.190 -0.462 -0.715 -1.250 -0.276 -0.639

---

[2]
The following is a DFT calculation (ωB97M-V/def2-TZVPD) of C24H41CrIN2O3SSi as an isolated structure.

Expectation value of S²   6.03
HOMO (alpha / beta)   -7.0465 / -8.1894 eV
• Back to the page:

    Old Follower :)

  2. Oooooh. P.S. I Like You! I'm really looking forward to that one. And Torn, obviously. LOL

# Molecular data, as found in the file
=====
A molecular structure, C14H26N2O9P2S4Sr, computed with ωB97M-V/def2-TZVPD.

Structure (XYZ):
```
58
Properties=species:S:1:pos:R:3:forces:R:3
Sr 0.400 -0.966 -0.233 -0.5 0.7 -0.5
C -1.944 1.019 2.111 0.0 0.0 0.0
C -2.916 1.074 0.942 0.0 0.0 0.0
S -2.233 0.576 -0.672 -0.1 -0.1 0.0
C -3.428 -0.662 -1.245 0.0 0.0 0.0
C -3.700 -1.862 -0.346 0.0 0.0 0.0
S -2.210 -2.813 0.067 0.0 0.0 0.0
C -2.375 -2.991 1.862 0.0 0.0 0.0
C -2.471 -1.711 2.679 0.0 0.0 0.0
S -1.094 -0.554 2.450 0.0 0.0 0.0
H -2.460 1.353 3.010 0.0 0.0 0.0
H -1.134 1.729 1.959 0.0 0.0 0.0
H -3.238 2.116 0.884 0.0 0.0 0.0
H -3.804 0.467 1.121 0.0 0.0 0.0
H -3.027 -0.991 -2.207 0.0 0.0 0.0
H -4.371 -0.155 -1.454 0.0 0.0 0.0
H -4.399 -2.528 -0.853 0.0 0.0 0.0
H -4.175 -1.549 0.581 0.0 0.0 0.0
H -1.495 -3.568 2.154 0.0 0.0 0.0
H -3.243 -3.617 2.075 0.0 0.0 0.0
H -2.512 -1.980 3.735 0.0 0.0 0.0
H -3.387 -1.167 2.461 0.0 0.0 0.0
N 4.711 -2.969 -1.771 -0.1 0.0 0.0
C 3.531 -2.382 -1.016 0.2 -0.1 -0.2
C 3.418 -2.967 0.386 0.1 -0.1 0.0
P 3.797 -0.575 -0.990 0.1 -0.2 -0.1
O 5.190 -0.597 -0.178 0.0 0.2 0.1
O 2.672 0.021 -0.195 0.1 -0.2 0.3
O 4.002 -0.161 -2.409 0.0 0.0 0.0
P 2.061 -2.857 -2.094 -0.4 0.0 0.1
O 1.554 -1.442 -2.695 0.3 0.0 -0.1
O 2.657 -3.791 -3.080 0.0 0.0 0.0
O 0.915 -3.194 -1.182 0.3 0.0 0.2
H 5.427 -3.338 -1.151 0.0 0.0 0.0
H 5.118 -2.238 -2.365 0.0 0.0 0.0
H 4.289 -3.685 -2.411 0.0 0.0 0.0
H 4.399 -3.031 0.859 0.0 0.0 0.0
H 2.930 -3.941 0.395 0.0 0.0 0.0
H 2.830 -2.274 0.989 0.0 -0.1 0.1
H 5.656 0.248 -0.160 0.0 0.0 0.0
H 2.297 -0.888 -3.019 -0.1 0.0 -0.1
N 0.925 1.592 -1.909 0.1 -0.2 0.1
C 0.346 2.561 -1.050 0.0 0.1 0.0
C -0.772 3.290 -1.444 0.0 0.0 0.0
C -1.442 4.085 -0.530 0.0 0.0 0.0
C -1.004 4.168 0.786 0.0 0.0 0.0
C 0.169 3.530 1.152 0.0 0.0 0.0
C 0.843 2.720 0.243 0.0 0.0 0.0
S -2.059 4.908 2.033 0.0 0.0 0.0
O -1.165 5.282 3.110 0.0 0.0 0.0
O -2.935 3.775 2.366 0.0 0.0 0.0
O -2.742 5.991 1.358 0.0 0.0 0.0
H 1.885 1.406 -1.645 0.0 0.0 -0.1
H 0.903 1.844 -2.888 -0.2 0.0 0.0
H -1.145 3.190 -2.457 0.0 0.0 0.0
H -2.333 4.630 -0.816 0.0 0.0 0.0
H 0.532 3.655 2.165 0.0 0.0 0.0
H 1.755 2.209 0.532 0.0 0.0 0.0
```
Forces are in eV/Å.

ΔE to the lowest compared entry with this formula, charge and spin (eV): 1.022
LUMO (eV): -0.50
Molar mass (g mol⁻¹): 644.2
Frontier orbital gap (eV): 7.28
Electronic energy (eV): -99111.621
Net charge: 0
HOMO level (eV): -7.78

* * * * *

Record 1
DFT (ωB97M-V/def2-TZVPD) results for a cluster of 2 separate species, C31H47FN4O4PS2 in total.

Highest occupied orbital energy (eV): -1.16
HOMO-LUMO gap (eV): 1.60
Total charge: -1

Geometry (Å):
N -0.326 -2.929 -0.823
C -2.094 -3.646 -2.740
N 1.426 -1.656 2.048
H -0.801 7.709 -2.163
C 2.708 -6.147 -1.948
H 1.991 -1.589 -0.510
C 2.564 -2.474 -0.031
C -2.670 -4.342 2.101
H -0.488 1.241 -2.780
C 2.315 -2.511 1.549
N 1.883 5.750 -0.380
N -1.891 0.791 0.407
H -3.079 0.546 -2.943
H -0.413 -2.595 4.590
H -4.406 -1.264 -4.513
H -0.858 5.196 -0.994
H 2.028 7.053 -2.752
H 0.334 6.199 2.018
H -2.618 -4.523 -0.122
=====
# The text goes on

  3. P.S. I Like You!! So excited for that one. Heartless too! Great list!

  4. Lunartic, that's a great term. I'm definitely counting myself as one. Seeing a lot of PS I Like You today. Will be checking that one out.

  5. Yes, yes, yes, & oops, How did I miss that one??? And I can't wait for Higgins' new series, too!!!! I agree with your awesome list!!!

[Next to the article, the page also holds records of molecules]
<<<
{"formula": "C25H28F7N2O20S", "method": "the ωB97M-V functional and the def2-TZVPD basis", "species": ["O", "S", "O", "C", "C", "C", "N", "N", "C", "C", "F", "F", "C", "F", "F", "C", "F", "F", "F", "H", "H", "H", "H", "C", "C", "O", "C", "O", "O", "H", "H", "H", "H", "C", "C", "O", "C", "O", "O", "H", "H", "H", "H", "C", "C", "O", "C", "O", "O", "H", "H", "H", "H", "C", "C", "O", "C", "O", "O", "H", "H", "H", "H", "C", "C", "O", "C", "O", "O", "H", "H", "H", "H", "C", "C", "O", "C", "O", "O", "H", "H", "H", "H"], "xyz": [[2.494, 3.139, -1.771], [1.792, 3.436, -0.567], [2.190, 4.481, 0.311], [1.682, 1.925, 0.358], [1.909, 1.935, 1.690], [1.856, 0.699, 2.316], [1.604, -0.373, 1.610], [1.380, -0.421, 0.312], [1.422, 0.724, -0.309], [0.010, 3.776, -1.070], [-0.219, 3.034, -2.161], [-0.043, 5.075, -1.372], [-1.055, 3.431, 0.007], [-1.268, 2.101, -0.001], [-0.585, 3.790, 1.222], [-2.412, 4.154, -0.219], [-3.366, 3.488, 0.447], [-2.712, 4.155, -1.524], [-2.351, 5.409, 0.234], [2.136, 2.839, 2.236], [2.007, 0.571, 3.375], [1.542, -1.270, 2.088], [1.242, 0.699, -1.376], [-2.820, -2.348, 0.998], [-1.687, -3.340, 0.809], [-0.607, -2.677, 1.495], [-1.136, -1.818, 2.385], [-0.476, -1.199, 3.170], [-2.455, -1.705, 2.237], [-3.797, -2.811, 1.091], [-2.851, -1.592, 0.215], [-1.874, -4.298, 1.295], [-1.418, -3.504, -0.230], [6.418, 1.510, -2.332], [5.177, 0.764, -2.771], [4.516, 0.509, -1.513], [4.941, 1.434, -0.631], [4.440, 1.608, 0.443], [5.969, 2.135, -1.111], [6.746, 2.263, -3.040], [7.248, 0.844, -2.103], [4.516, 1.374, -3.388], [5.399, -0.165, -3.279], [-6.054, 0.373, -0.458], [-5.956, 1.428, -1.544], [-4.567, 1.346, -1.915], [-4.111, 0.125, -1.591], [-3.045, -0.316, -1.894], [-5.016, -0.544, -0.845], [-7.016, -0.129, -0.422], [-5.817, 0.769, 0.531], [-6.568, 1.190, -2.414], [-6.190, 2.431, -1.203], [-9.852, -2.926, 0.860], [-10.339, -3.288, -0.532], [-10.571, -1.999, -1.111], [-9.818, -1.090, -0.462], [-9.656, 0.037, -0.805], [-9.259, -1.638, 0.644], [-9.112, -3.613, 1.260], [-10.669, -2.816, 1.573], [-9.579, -3.803, -1.120], [-11.258, -3.867, -0.540], [4.274, 0.292, 7.289], [3.959, 1.561, 6.517], [3.994, 1.096, 5.155], [3.772, -0.236, 5.156], [3.585, -0.880, 4.167], [3.783, -0.726, 6.401], [3.767, 0.221, 8.246], [5.344, 0.140, 7.429], [2.958, 1.939, 6.729], [4.685, 2.356, 6.654], [6.982, -3.531, -6.032], [6.464, -3.881, -4.648], [7.004, -2.819, -3.849], [7.256, -1.765, -4.654], [7.560, -0.680, -4.267], [7.114, -2.106, -5.947], [6.301, -3.792, -6.837], [7.964, -3.960, -6.232], [5.375, -3.842, -4.588], [6.813, -4.839, -4.274]], "gap_ev": 8.818, "e_tot_ev": -100160.357, "fmax_ha_per_bohr": 0.01453, "total_charge": 1, "homo_energy_ev": -12.949}
>>>
[So much for the records of molecules]

  6. I've only read the first couple of books in the Naturals Series, but I really liked the audio for The Naturals. I haven't read the third one, but that's going to have to wait until I re-read the first couple, because I don't remember much from when I first read them.

    Nicole @ Reading Books With Coffee

  7. I'm excited for Heartless as well! I also have a few others on here on my TBR! Great picks!
